As a part of an extension activity, a team of students and Biochemistry teachers, St.Philomena’s College(Autonomous), Mysuru visited Government high school K. R. Mill Main road, Mysuru to give awareness on Menstrual cycle and Hygiene , Adulteration in food items (through different adulterant tests) and Blood Grouping test.
The team comprising students and staff reached the school on 28th February at 1:45pm. Principal of the Government school, teachers and the students warmly welcomed students and Biochemistry teachers of St.Philomena’s College(Autonomous).
Objective of the activity:
- To create awareness to the students.
- To improve the knowledge and skills of the students.
- To have the education beyond the limits of schools.
_Here the piece breaks off for calculated crystals_
- - -
#a
The following is a DFT calculation (PBE) of a relaxed TbErTm3 crystal.

space-group type: P-1

CIF file:
```
data_TbErTm3
_symmetry_space_group_name_H-M 'P 1'
_symmetry_Int_Tables_number 1
_cell_length_a 9.460
_cell_length_b 6.604
_cell_length_c 6.187
_cell_angle_alpha 62.10
_cell_angle_beta 109.12
_cell_angle_gamma 84.13
loop_
_symmetry_equiv_pos_as_xyz
'x,y,z'
loop_
_atom_site_label
_atom_site_fract_x
_atom_site_fract_y
_atom_site_fract_z
_atom_site_occupancy
Tm1 0.051 0.949 0.485 1
Tm2 0.549 0.451 0.315 1
Tb1 0.849 0.951 0.882 1
Tm3 0.750 0.449 0.917 1
Er1 0.649 0.950 0.283 1
Tm4 0.250 0.951 0.083 1
Tb2 0.151 0.449 0.118 1
Tm5 0.949 0.451 0.515 1
Er2 0.351 0.450 0.717 1
Tm6 0.451 0.949 0.685 1
```

***

#b
The following is a DFT calculation (PBE) of a relaxed TbErTm3 crystal.

space-group type: P2_1/m

CIF file:
```
data_TbErTm3
_symmetry_space_group_name_H-M 'P 1'
_symmetry_Int_Tables_number 1
_cell_length_a 3.580
_cell_length_b 8.365
_cell_length_c 11.374
_cell_angle_alpha 90.00
_cell_angle_beta 90.00
_cell_angle_gamma 102.37
loop_
_symmetry_equiv_pos_as_xyz
'x,y,z'
loop_
_atom_site_label
_atom_site_fract_x
_atom_site_fract_y
_atom_site_fract_z
_atom_site_occupancy
Tm1 0.847 0.193 0.999 1
Er1 0.983 0.468 0.250 1
Tm2 0.153 0.807 0.001 1
Tm3 0.648 0.798 0.250 1
Tb1 0.690 0.879 0.750 1
Tb2 0.310 0.121 0.250 1
Tm4 0.352 0.202 0.750 1
Er2 0.017 0.532 0.750 1
Tm5 0.847 0.193 0.501 1
Tm6 0.153 0.807 0.499 1
```

***

It is #b that is the least stable of them.

***

#a
The following is a DFT calculation (PBE) of a relaxed TbEr12Tm6 crystal.

space-group type: R-3

CIF file:
```
data_TbEr12Tm6
_symmetry_space_group_name_H-M 'P 1'
_symmetry_Int_Tables_number 1
_cell_length_a 8.402
_cell_length_b 8.402
_cell_length_c 8.402
_cell_angle_alpha 88.07
_cell_angle_beta 88.07
_cell_angle_gamma 88.07
loop_
_symmetry_equiv_pos_as_xyz
'x,y,z'
loop_
_atom_site_label
_atom_site_fract_x
_atom_site_fract_y
_atom_site_fract_z
_atom_site_occupancy
Er1 0.435 0.774 0.544 1
Tm1 0.311 0.744 0.908 1
Er2 0.774 0.544 0.435 1
Er3 0.009 0.209 0.357 1
Er4 0.209 0.357 0.009 1
Tm2 0.908 0.311 0.744 1
Er5 0.565 0.226 0.456 1
Er6 0.456 0.565 0.226 1
Tm3 0.092 0.689 0.256 1
Er7 0.791 0.643 0.991 1
Tm4 0.256 0.092 0.689 1
Er8 0.544 0.435 0.774 1
Tb1 0.000 0.000 0.000 1
Er9 0.643 0.991 0.791 1
Er10 0.991 0.791 0.643 1
Er11 0.357 0.009 0.209 1
Tm5 0.744 0.908 0.311 1
Er12 0.226 0.456 0.565 1
Tm6 0.689 0.256 0.092 1
```

***

#b
The following is a DFT calculation (PBE) of a relaxed TbEr12Tm6 crystal.

space-group type: R-3m

CIF file:
```
data_TbEr12Tm6
_symmetry_space_group_name_H-M 'P 1'
_symmetry_Int_Tables_number 1
_cell_length_a 9.177
_cell_length_b 9.177
_cell_length_c 9.177
_cell_angle_alpha 107.65
_cell_angle_beta 107.65
_cell_angle_gamma 107.65
loop_
_symmetry_equiv_pos_as_xyz
'x,y,z'
loop_
_atom_site_label
_atom_site_fract_x
_atom_site_fract_y
_atom_site_fract_z
_atom_site_occupancy
Er1 0.500 0.111 0.889 1
Tm1 0.686 0.686 0.272 1
Tm2 0.728 0.314 0.314 1
- - -
_End of the calculated crystals_
- To improve the interest in science.
We started with the topic Menstrual Cycle
This topic was chosen by the request of the principal of government college.
Very firstly, the girls were introduced about the term of menstrual cycle, and then its mechanism. Further the information about the phases of the cycle were explained, Each phase [menstrual phase, follicular phase, ovulation phase and the luteal phase] with their duration of action, number of days of action and its way of occurrence. All these were exhibited on the chart that was presented.
It is very essential to know or have an idea about menarche, 1st occurrence of menstruation. The terminology of menarche was introduced along with the average [12 years] age for its occurrence. The symptoms of onset of menstrual cycle were discussed, which were like; acne, cramps, headache, mood swings, bloated and gassy, feeling tired, etc. Besides, the girls, ladies, and women are suffering from number of problems with respect to their cycles. So, all those things such as improper functioning of thyroid, caners, etc. were also included.
Next was about the usage of sanitary napkins, its side effects, problems and its disposal were informed. Especially, about the duration of its usage, infections and disease that is caused was concentrated. Also, there was a talk about the pollution of soil due to the usage of sanitary pads was made aware. After this awareness, the replacement for the sanitary napkins was said, that is about the menstrual cups, washable cloth pads, etc.
In the end, it was concluded with the process of termination or menopause, end of periods that shows a number of symptoms for its end. Natural pause for menstrual cycle would be less effective than any other operations like endometrial ablation that would stop periods forever. This was informed as a serious note. Healthy foods need to be consumed in order to have healthy cycles and the session was ended, hoping that the activity was beneficial.
Further we started with Blood group typing,
We interacted with the students about the importance of blood and preeminently knowing the blood group type in case of emergencies. Blood carries oxygen all over the body and brings carbon dioxide to the lungs so it can be exhaled. Different blood types cannot be mixed together.
Additionally, we explained the process of identifying the blood group types, there are 4 main blood groups defined by the ABO system:
Blood group A – has A antigens on the red blood cells with anti-B antibodies in the plasma.
Blood group B – has B antigens with anti-A antibodies in the plasma.
Blood group O – has no antigens, but both anti-A and anti-B antibodies in the plasma.
Blood group AB – has both A and B antigens, but no antibodies.
Red blood cells have antigen, a protein known as the Rh antigen. If this protein is present the blood group is Rh positive and if it is absent then the blood group is Rh negative.
We demonstrated the Blood group typing experiment by taking a clean and dry slide and marking 3 circles and labelled as anti-serum A, anti-serum B and anti-serum D. Some students volunteered to get their blood group type checked. We sanitized the finger with cotton dipped in alcohol and using a sterilized lancet, the finger was pricked and a drop of blood was taken in each circle. Anti-serum was added to each circle and the sample in each circle was mixed with different toothpicks. Results was observed and the blood group type was identified. The same was repeated for several students in order to identify their blood group type.
Next, we started with Food Adulteration Topic.
We interacted with students by explaining the importance of food and quality of food. As we know Food is the basic necessity of life. The food we eat is absorbed by our body and is used to run metabolic processes and sustain life. Food is essential for growth, and various life processes. An array of food in our daily diet includes vegetables, fruits, legumes, pulses, grains, etc. All of these are either consumed raw or made into delicacies and savoured. Then we mentioned about, what is Food Adulteration? What Adulteration is used in day to day lives as there are some conditions that are required to conclude whether a food is adulterated or not.
We performed 2 adulterated experiments live and explained various other common food adulteration using videos and presentations.
The first adulterant demonstrated was about turmeric adulteration starting with the introduction like Indian cuisine is defined by the variety of spices incorporated in the recipes. The usage of distinctive spices is the secret ingredient that makes Indian cooking authentically Indian. Its unique flavour and scent have the power to dramatically change your dish. The quality of the spices we buy is becoming increasingly important these days. Adulteration is quite frequent, particularly in spices.
Most of us go to our local grocery stores to get our monthly supply of spices and condiments. Spices sold in bulk are more likely to be tainted. We may never know how simple it is to combine inferior materials with powdered condiments. Turmeric is one such significant spice that is adored not just for the wonderful colour and texture it provides to any cuisine but also for its therapeutic benefits.Turmeric powder is nowadays heavily adulterated, depriving it of all of its health benefits.
Water Test: Take a glass flask of warm water and add a teaspoon of turmeric powder to it, let it sit for around 10-15 minutes.
Chemical test: it was conducted by taking non adulterated and adulterated turmeric powder with addition of water and 3 drops of conc.H2SO4 were added and the colour formation was shown and reactions were explained and students noted it and responded to us telling the difference seen in the test tubes .
This interaction was appreciated from us and encouraged us to perform next food adulteration experiment.
The second adulterant demonstrated was about chili adulteration. Chili powder is a widely used spice in many Indian cuisine, there are probably a few delicious cuisines which can be made without chili powder. Chili powder also has certain health benefits like in digestion, maintaining blood pressure levels, in weight loss etc. Hence it is important that we get unadulterated chili powder from market.
Chemical test: In two separate test tubes adulterated and unadulterated chili powder was taken and 4 ml of ethyl ether was added. In two more separate test tube 4 ml of dilute HCl and distilled water was added in equal ratio. The chili powder solution supernatant were transferred to the test tubes and mixed. It was found out that the adulterated chili powder had formed pink colour in the test tube, while the unadulterated chili powder containing test tube had no colour formed . The process was explained to the students and their response from the students were noted.
The following adulterants were explained to the students:
Adulteration of Milk: Various methods can be used to distinguish between adulterated and unadulterated milk. We had explained that, when a drop of milk is placed on a polished slanting surface the pure milk stays or flows slowly leaving a trail behind. While the adulterated milk will flow immediately without leaving a mark.
Adulteration of Pepper seeds: This was a relatively simple test. Some of the pepper seeds when poured on the glass of water and left undisturbed. The pepper seeds would have precipitated in the unadulterated sample and in adulterated sample it was such that along with precipitation of pepper seeds, some of the adulterants would be floating on the top.
Adulteration of honey: Honey is usually adulterated with sugar. In a glass we water when adulterated honey is added dispersion can be observed. In unadulterated honey the honey settles at the bottom and no dispersion can be observed.
We informed the students about the need and importance of healthy diet; we gave the idea on food plan and hygiene.
Outcome of the activity:
Through the activity involving food adulteration students were made aware of the possible adulterants used in the day to day ingredients and foods that we use and the ways which it can be identified. They were enlightened with the knowledge of the ill effected of eating the foods prepared from adulterated ingredients on the health in long run. Even the students made aware of the procedures to identify some simple adulterants at home. Through the blood group identification activity the students were happy to know about their blood groups and were shown the demonstration of the process of identification of the same. The girl students learnt about the maintenance of menstrual hygiene, the process and the hormones behind it, through the lecture followed by open discussion session. Overall, it was a delightful sight to see the spark of curiosity in the eyes of every students regarding the science behind day to day things arounds and the scope of the subject